### To do
Now return every line further below that contains the word "P1".

### Data
********
Entry 1:
Mn7NiP12O48 after structural relaxation, computed with GGA+U.

Lattice parameters (Å, degrees): 8.4931 8.4973 11.8458 90.00 90.00 90.02
Space group P1 (No. 1)
Symmetry-distinct sites (fractional):
Mn 0.0000 0.0000 0.0000 (multiplicity 1)
Mn 0.9999 0.0694 0.5000 (multiplicity 1)
Mn 0.5001 0.9999 0.2639 (multiplicity 1)
Mn 0.5000 0.0695 0.7647 (multiplicity 1)
Mn 0.4995 0.5003 0.0000 (multiplicity 1)
Mn 0.9990 0.5005 0.2640 (multiplicity 1)
Mn 0.9995 0.5701 0.7651 (multiplicity 1)
Ni 0.4996 0.5709 0.4997 (multiplicity 1)
P 0.1424 0.6430 0.0276 (multiplicity 1)
P 0.1425 0.9268 0.7372 (multiplicity 1)
P 0.2129 0.7841 0.3817 (multiplicity 1)
P 0.2870 0.2855 0.3819 (multiplicity 1)
P 0.3565 0.4272 0.7366 (multiplicity 1)
P 0.3570 0.1431 0.0275 (multiplicity 1)
P 0.6414 0.9276 0.5282 (multiplicity 1)
P 0.6419 0.6439 0.2368 (multiplicity 1)
P 0.7128 0.7850 0.8822 (multiplicity 1)
P 0.7866 0.2848 0.8824 (multiplicity 1)
P 0.8573 0.1428 0.2368 (multiplicity 1)
P 0.8568 0.4279 0.5276 (multiplicity 1)
O 0.0695 0.5214 0.1099 (multiplicity 1)
O 0.0706 0.0478 0.6541 (multiplicity 1)
O 0.0905 0.5965 0.9089 (multiplicity 1)
O 0.0902 0.9737 0.8555 (multiplicity 1)
O 0.0958 0.7573 0.7065 (multiplicity 1)
O 0.0962 0.8125 0.0583 (multiplicity 1)
O 0.1006 0.8755 0.4617 (multiplicity 1)
O 0.1033 0.6939 0.2998 (multiplicity 1)
O 0.1753 0.1339 0.0409 (multiplicity 1)
O 0.1748 0.4354 0.7241 (multiplicity 1)
O 0.1902 0.1757 0.4582 (multiplicity 1)
O 0.1905 0.3938 0.3050 (multiplicity 1)
O 0.3038 0.6784 0.4617 (multiplicity 1)
O 0.3091 0.8939 0.3052 (multiplicity 1)
O 0.3240 0.6337 0.0412 (multiplicity 1)
O 0.3242 0.9360 0.7239 (multiplicity 1)
O 0.3957 0.1941 0.3003 (multiplicity 1)
O 0.3962 0.3713 0.4649 (multiplicity 1)
O 0.4018 0.2573 0.7065 (multiplicity 1)
O 0.4032 0.3127 0.0585 (multiplicity 1)
O 0.4083 0.4724 0.8559 (multiplicity 1)
O 0.4096 0.0965 0.9091 (multiplicity 1)
O 0.4291 0.0215 0.1100 (multiplicity 1)
O 0.4288 0.5501 0.6574 (multiplicity 1)
O 0.5695 0.0500 0.6102 (multiplicity 1)
O 0.5727 0.5219 0.1527 (multiplicity 1)
O 0.5892 0.9722 0.4090 (multiplicity 1)
O 0.5943 0.5932 0.3534 (multiplicity 1)
O 0.5960 0.8133 0.2051 (multiplicity 1)
O 0.5968 0.7609 0.5618 (multiplicity 1)
O 0.6026 0.6942 0.9631 (multiplicity 1)
O 0.6036 0.8761 0.8008 (multiplicity 1)
O 0.6754 0.1339 0.2243 (multiplicity 1)
O 0.6771 0.4305 0.5426 (multiplicity 1)
O 0.6905 0.1756 0.8056 (multiplicity 1)
O 0.6904 0.3942 0.9587 (multiplicity 1)
O 0.8088 0.6752 0.8057 (multiplicity 1)
O 0.8090 0.8941 0.9589 (multiplicity 1)
O 0.8234 0.9379 0.5406 (multiplicity 1)
O 0.8243 0.6344 0.2229 (multiplicity 1)
O 0.8962 0.1939 0.9636 (multiplicity 1)
O 0.8963 0.3758 0.8010 (multiplicity 1)
O 0.9031 0.3125 0.2060 (multiplicity 1)
O 0.9044 0.2579 0.5586 (multiplicity 1)
O 0.9098 0.0967 0.3554 (multiplicity 1)
O 0.9104 0.4732 0.4093 (multiplicity 1)
O 0.9291 0.0214 0.1543 (multiplicity 1)
O 0.9305 0.5488 0.6098 (multiplicity 1)

Entry 2:
MgCoO3 after structural relaxation, computed with GGA+U.

Lattice parameters (Å, degrees): 4.9259 4.9259 13.6169 90.00 90.00 120.00
Space group R-3 (No. 148, hexagonal axes)
Symmetry-distinct sites (fractional):
Mg 0.0000 0.0000 0.1396 (multiplicity 6)
Co 0.0000 0.0000 0.3396 (multiplicity 6)
O 0.0166 0.3806 0.9231 (multiplicity 18)

Entry 3:
Li5MnO4 after structural relaxation, computed with GGA+U.

Lattice parameters (Å, degrees): 12.8042 12.8042 4.7017 90.00 90.00 90.00
Space group P4_2/nmc (No. 137, origin choice 2)
Symmetry-distinct sites (fractional):
Li 0.0140 0.5140 0.2500 (multiplicity 8)
Li 0.1098 0.1432 0.1935 (multiplicity 16)
Li 0.1219 0.6219 0.7500 (multiplicity 8)
Li 0.2500 0.2500 0.1420 (multiplicity 4)
Li 0.2500 0.7500 0.2500 (multiplicity 2)
Li 0.2500 0.7500 0.7500 (multiplicity 2)
Mn 0.0212 0.7500 0.2874 (multiplicity 8)
O 0.0062 0.1250 0.4878 (multiplicity 16)
O 0.1262 0.7500 0.9983 (multiplicity 8)
O 0.1284 0.2500 0.9045 (multiplicity 8)

Polymorph energy (0 for the lowest one) ... 57 meV per atom

Entry 4:
********

### Outcome
Space group P1 (No. 1)